Dear Mr President,

Subject: Creation of the European External Action Service

The Treaty of Lisbon foresees the creation of the European External Action Service.

In fact, it is a matter of taking a certain number of Civil Servants, officials and functions from the Commission to place them under the authority of the EU High Representative for External Affairs and Vice-President of the Commission.

For that to happen it is necessary, in accordance with the Treaty of Lisbon, to modify a certain number of rules in the Staff Regulations for European Civil Servants.
According to our information, the College should be holding an initial debate tomorrow to set the general direction.

You will be aware that R&D, the Commission’s largest union, is very attached to building Europe and to the EU way of doing things. It is this EU way and its associated Civil Service which have allowed us to take great strides in Europe’s progress over the past fifty years.

The Single Market and the Euro are the fruit of the conjunction of a long-term political vision of the Commission, supported by a Civil Service which is independent of Member States, of an exceptional quality and is fully aware of the stakes involved in European policy-making.

The unified Staff Regulations applicable to all European Civil Servants is today the guarantor of this independence, permanence and high quality of the European public service.

R&D is currently worried by the proposal to modify the Staff Regulations, which in our opinion is not without risk in the long term. We consider that any changes should be minimal and grouped in a chapter dedicated to the EEAS rather than scattered throughout the whole of the text.

R&D would like to see the College’s political vision clearly set out and communicated to staff so that information presented to Civil Servants and officials comes more from the Commission rather than from reading about it in the press.

R&D is of the opinion that all the staff of this new service should enjoy the same Staff Regulations (permanent for the Civil Servants coming from the Commission, or temporary for staff detached from national administrations) and thus have the same rights and obligations whatever their origin. No distinction should be made between civil servants concerning their duties and their position in the staff chart.

## Attached: molecular data
~~~
[1]
A cluster of 9 separate species, C28H78N4O9 in total in a non-equilibrium geometry, computed with ωB97M-V/def2-TZVPD.

Calculated values
HOMO level ... -0.3126 Ha
SMILES string ... COC[C@H](C)N.COC[C@H](C)N.COC[C@H](C)N.COC[C@H](C)N.CC(C)O.CC(C)O.CCO.CCO.CCO
ΔE to the lowest compared entry with this formula, charge and spin ... 2.4010 eV

Each line ends with the Mulliken charge.
Positions of all 119 atoms, in Å:
C  2.24  0.48  0.65  -0.233
C  1.55  0.07  -0.62  1.635
C  2.60  0.11  -1.78  -1.777
O  1.06  -1.22  -0.46  0.132
H  2.72  1.46  0.44  -0.484
H  3.10  -0.21  0.90  0.112
H  1.47  0.58  1.47  0.121
H  0.76  0.77  -0.93  -0.689
H  3.46  -0.51  -1.59  0.422
H  2.99  1.25  -1.92  0.202
H  2.15  -0.25  -2.67  0.588
H  1.25  -1.78  -1.20  0.126
C  1.94  4.71  -1.53  -1.560
C  1.71  4.50  -0.04  1.921
C  1.92  5.75  0.85  -1.680
O  0.33  4.09  0.08  -0.186
H  1.17  5.42  -1.83  0.240
H  1.81  3.75  -2.01  0.245
H  2.93  5.15  -1.62  0.615
H  2.36  3.68  0.29  -0.654
H  1.50  5.46  1.86  0.324
H  1.33  6.58  0.52  0.457
H  3.00  5.96  0.83  0.355
H  0.01  3.36  -0.54  0.034
C  2.70  3.01  3.49  -0.778
C  4.15  2.75  3.76  0.261
C  4.97  2.16  2.57  -0.188
O  4.81  3.04  1.47  -0.161
C  5.70  2.61  0.42  -0.994
N  4.81  3.95  4.26  -0.735
H  2.24  3.21  4.45  0.477
H  2.24  2.07  3.17  0.139
H  2.58  3.85  2.80  -0.192
H  4.10  2.07  4.60  0.376
H  4.52  1.22  2.23  -0.166
H  6.01  1.88  2.67  0.529
H  5.43  3.13  -0.55  0.223
H  5.50  1.60  0.20  0.445
H  6.72  2.82  0.70  0.325
H  5.83  3.99  4.18  0.268
H  4.53  4.77  3.76  0.261
C  -2.19  -2.30  -2.78  -1.088
C  -3.10  -1.49  -1.90  0.279
C  -4.15  -2.36  -1.12  -0.089
O  -5.17  -2.62  -1.97  -0.367
C  -6.19  -3.40  -1.48  -0.836
N  -2.41  -0.50  -1.09  0.228
H  -1.59  -1.72  -3.50  0.399
H  -2.78  -3.02  -3.39  0.390
H  -1.56  -2.83  -2.09  -0.029
H  -3.74  -0.97  -2.59  0.081
H  -4.53  -1.74  -0.28  0.407
H  -3.67  -3.19  -0.57  -0.113
H  -6.62  -3.11  -0.48  0.302
H  -5.93  -4.45  -1.47  0.304
H  -7.04  -3.28  -2.15  0.285
H  -2.99  -0.08  -0.35  0.064
H  -1.52  -0.86  -0.69  -0.220
C  -0.87  -6.88  -0.62  -1.674
C  -1.31  -5.45  -0.08  0.774
C  -2.10  -5.63  1.20  -1.299
O  -2.51  -4.40  1.68  -0.144
C  -3.27  -4.48  2.88  -0.843
N  -0.17  -4.54  0.16  -0.357
H  -1.65  -7.34  -1.22  0.388
H  -0.60  -7.51  0.20  0.470
H  -0.07  -6.67  -1.35  0.320
H  -1.92  -5.02  -0.90  -0.021
H  -1.55  -6.30  1.88  0.535
H  -3.01  -6.18  0.96  0.462
H  -3.42  -3.46  3.26  0.214
H  -2.86  -5.19  3.63  0.300
H  -4.28  -4.88  2.60  0.302
H  -0.48  -3.67  0.60  0.169
H  0.49  -4.93  0.90  0.115
C  -1.07  4.16  -3.50  -1.868
C  -1.81  3.78  -2.20  0.552
C  -3.27  3.62  -2.41  -0.462
O  -3.93  4.75  -2.91  -0.441
C  -3.96  5.76  -1.95  -0.704
N  -1.26  2.55  -1.69  0.081
H  -1.30  3.39  -4.26  0.394
H  -0.02  4.32  -3.35  0.371
H  -1.47  5.08  -3.82  0.436
H  -1.68  4.49  -1.40  0.328
H  -3.58  3.41  -1.36  0.240
H  -3.48  2.74  -3.06  0.324
H  -3.00  6.08  -1.64  0.309
H  -4.50  5.41  -1.04  0.257
~~~

Mr President, R&D considers that the Union is at an important turning point in its history. The EU should, we think, favour Europe’s long-term interest. R&D supports the idea of specific competitive examinations for European diplomatic careers.

Your experience and your independence reassure us for the future of Europe: the Commission must, to our mind, remain the driving force of European integration- its right of initiative is a major tool for the future. Nothing would be worse than a reduction of the Commission’s status to that of a secretariat of the Council: not only for the Commission but above all for Europe. The Commission’s right of initiative and the competence of its civil servants are major assets for the European Union.

I remain, Mr President, at your disposal for any clarification or any meeting.

Yours sincerely,

F. Ianniello